Tuesday, December 16, 2008
A Nicer version of “Darn It".
So Aidan says “darn it”. Well, at least it sounds like “darn it” and I pray it is not “damn it”. It is still hard to tell. So gently I remind him not to say it just is case it is “damn it”.
Background: Aidan carries around match box cars almost everywhere he goes. His latest dilemma, he doesn’t have a toy man small enough to fit in one of his trucks.
This morning the topic came up again.
Aidan: “Momma I need a little man to fit in my car.”
Me: “I’m sorry Aidan I don’t think they make men small enough to fit.”
Aidan: “A man fits in my dump truck.”
Me: “The dump truck man is big. Your car is little. He doesn’t fit.”
Aidan looking at his car: “Oh Pickles!”
"Oh Pickles", I love it. He told me he heard it on a cartoon. I hope it sticks.
Monday, December 1, 2008
Home Sweet Almost Home
Well, my townhome is coming along. The target date for closing is still Feb 28, but it looks like a house now. Aidan and I stopped by on Thanksgiving morning, and workers were putting on the siding. My current living space is starting to burst at the seems. Sharing a bedroom with a three year old is starting to wear me down. Moving from 1 room to 1200 sf is going to be pure a luxury.
The upstairs windows you see are Aidan's. Below is a view from his bedroom. There are going to be dozens of other single family homes built to the treeline.
Tuesday, November 11, 2008
Christmas Gifts
I have to admit I still engage in "shopping therapy" when I am down. But as I get older, I find I don't need anything. So as I would be walking thru a store trying to find anything I might remotely want, time after time I would leave empty handed.
So, I also have to admit I have this thing with trying to find the perfect item. Example, I needed a business card holder recently. Most people just go to Target or where ever and pick one up, no, no, not me. I spent maybe two weeks canvasing every store in Williamsburg and searching online. It is not a frantic search. I just slowly work a visit to different stores into my schedule. I used to just buy the cheapest. Then I started realizing my stuff wore out and most of it I just really didn't like. I did finally find one card holder that was perfect. And I fully expect to keep it until I die.
So what does this have to do with Christmas? Well, I just transfered my "perfect item shopping therapy" search to Christmas. Why didn't I start this years ago?
While I am on the theme of gifts, I wanted to pass on the website "Mama to Mama". I am going to make some newborn caps to be sent to Haiti. If anyone sews and has some unwanted t-shirts that need to be reused this is perfect.
Tuesday, November 4, 2008
Quote and Link for Tuesday
- Dr. Howard Thurman
Letter from mother to children on reasoning behind her Tuesday vote.
Wednesday, October 29, 2008
Music Search
Back then cds were an emerging technology. I remember talk about how they were indestructible. You could throw one across the room and it would survive, while that is true, I later found out they were easily scratched and ruined. Apart from that cd and a couple of music cassette tapes (my last cassette purchase Michael J. “Dangerous”) I really didn’t get into the music scene.
That means, I just listened the radio. What ever was playing I mindlessly listened to. In college my music horizons were broadened by my roommate Lindsey and college in general. But still I made no effort to obtain music or even get to know artist or album names.
But after during my divorce I got a myspace account and everything changed. With one click to an acquaintance’s page and I heard something different. A song by a little band from Texas, their name “Ghostland Observatory”, the song “Sad, Sad City”. Check it out here
I am not quite sure what happened to me. I had to buy the cd. They didn’t carry it in stores, so I had to search it out. Actually it isn’t hard with the internet. I hadn’t bought a cd in quite possibly 5-7 yrs. Actually at that point I don’t remember when I had last bought one.
Anyway, I then started searching out lesser know bands and popular ones for that matter. In this search I have found music to fit my mood, the weather, a feeling I want to remember, music in remembrance of far away friends or just music that made me feel good.
The latest cd I am waiting for is by Chairlift from New York.
So I may be behind in my music education, but I am catching up. I had been missing out for a long time.
Friday, October 24, 2008
"Bunny Rabbit"
Aidan: “Bunny”
Me: “Bunny”
Aidan: “Momma, call me a dinosaur”
Me: “Okay, dinosaur”
Aidan: “Bad donkey”
Me: “What?!, Did you just call me a bad donkey”
Aidan: “Yes, donkey”
Needless to say I almost fell off the bed laughing. I think he had the whole exchange thought out before hand. Because, he was totally looking at me for a reaction when he said, “bad donkey”.
I think I have a jokester on my hands.
Monday, October 20, 2008
Aidan's 3rd Birthday Party
Now I just have to write thank you notes for all the gifts Aidan recieved. Aidan's party last year was so much work I totally neglected the thankyous. Yeah, I know my mother raised me better than that. No excuse's this year. I am writing them in the next couple of days.
Friday, October 17, 2008
I have so many things to write about
Monday, October 13, 2008
Thursday, October 9, 2008
The Scottish Festival
We watched highland games including the caber toss. Not really a toss if you ask me.
Aidan and I spent the most time listening to the bands.
Albannach (AL-ban-ock),
Rathkeltair (rath-KELT-ur),
Poisoned Dwarf
All were really good. Aidan loved Albannach, they had really big drums. He sat on my shoulders and kept asking me to get closer.
So I am still vegetarian. I was scared for a while, every food sign I saw at the festival said, “Meat Pie”. It took some looking but I found something delicious.
Aidan’s birthday is coming up. I am having a party for him this Saturday. So that means I have to bake a cake Friday night. I am envisioning a ½ sheet with picture Thomas the Train. We will see how it goes. I haven’t decorated a cake is quite some time.
Wednesday, September 24, 2008
Wednesday Thoughts
Monday, September 22, 2008
Eating Healthy, Kind of
Today I am breaking it. I am not going dwell in the past. Today has been healthy eating all the way. So I am happy.
'''
1.
30
Properties=species:S:1:pos:R:3:forces:R:3 method="wB97M-V/def2-TZVPD" smiles=CC[C@@H](Cl)B(Br)CN.Fc1ccccc1 charge=0 lumo_energy_ev=0.530 homo_energy_ev=-9.495
C 0.02624 1.24020 -0.06417 -0.12 -0.09 -0.10
C -0.94828 0.28750 -0.74790 0.16 0.02 0.30
C -1.19957 0.71697 -2.17784 -0.37 0.09 -0.10
Cl -2.42899 -0.34961 -2.95209 -0.02 -0.04 -0.05
B -1.65993 2.22426 -2.31221 -0.18 -0.12 0.19
Br -3.33956 2.73663 -1.50803 0.41 -0.02 -0.18
C -0.69865 3.24249 -3.00436 -0.47 0.43 0.46
N -1.01351 4.66393 -2.80443 0.39 0.03 -0.27
H -0.42873 2.20853 0.13349 -0.09 0.17 -0.04
H 0.89799 1.39080 -0.69463 0.27 0.05 0.05
H 0.34334 0.83540 0.88921 0.16 -0.06 0.12
H -0.53005 -0.71517 -0.76309 0.03 -0.20 0.05
H -1.87281 0.24655 -0.17831 -0.23 0.01 -0.09
H -0.28977 0.55175 -2.74523 0.18 0.01 -0.17
H -0.76081 3.03134 -4.07279 -0.03 -0.18 -0.22
H 0.32046 2.95900 -2.71568 0.19 -0.02 -0.04
H -0.68967 4.98037 -1.89672 -0.17 -0.11 0.02
H -0.49322 5.21440 -3.48133 -0.11 0.01 0.09
F 2.31742 -1.18759 0.88135 0.01 0.04 -0.02
C 1.77437 -2.07398 1.74088 -0.09 -0.12 0.10
C 0.98663 -1.60773 2.77403 -0.01 0.16 0.01
C 0.42575 -2.52455 3.65073 0.03 -0.08 -0.04
C 0.65877 -3.88268 3.48589 -0.02 -0.02 0.03
C 1.45552 -4.32678 2.43991 -0.03 0.06 0.05
C 2.02040 -3.41919 1.55628 0.08 -0.06 -0.13
H 0.82230 -0.54457 2.88850 0.01 0.00 -0.01
H -0.19567 -2.17600 4.46429 0.00 0.02 0.01
H 0.21942 -4.59377 4.17214 0.00 -0.01 0.00
H 1.63973 -5.38447 2.31013 0.01 -0.01 -0.02
H 2.64092 -3.74401 0.73198 0.01 0.03 0.00

2.
29
Properties=species:S:1:pos:R:3:forces:R:3 method="wB97M-V/def2-TZVPD" charge=+1 lumo_energy_ev="-3.765 / -3.765" homo_energy_ev="-11.951 / -11.952"
B 0.81813 -0.28551 -0.21572 -0.18 -0.18 -1.40
C -2.36703 1.04880 0.83070 -0.67 0.50 -1.17
C -2.87363 -0.35280 1.22743 -1.84 1.10 0.86
C -3.64565 -1.16046 0.26608 -0.46 0.02 -1.04
C -2.84641 -1.41017 -0.85790 -0.02 -0.09 -1.16
C -2.01042 -1.45898 0.67898 1.91 -0.38 -0.06
C -1.61334 -0.70019 -0.55960 1.04 -1.86 1.15
C -1.31167 0.73977 -0.33006 -0.29 0.64 0.63
C -1.30856 1.73096 -1.49837 1.63 -1.16 -0.98
C 3.33030 0.75180 0.42140 2.19 1.21 -0.47
C 2.50117 -0.27869 -0.17829 -3.04 -0.85 -1.90
N 2.82840 -1.66544 0.34427 1.81 1.31 2.14
O 0.34442 -1.33430 -0.94499 -2.26 1.95 1.27
O -0.01960 0.74764 0.22657 1.86 -0.35 0.27
H -3.15155 1.70952 0.36663 0.36 -0.86 0.53
H -2.05438 1.61464 1.74115 0.60 -0.56 -0.99
H -3.35623 -0.38076 2.23538 0.87 -0.37 -0.77
H -4.49751 -1.78768 0.52633 0.24 0.11 -0.10
H -2.98443 -2.17362 -1.66601 0.07 0.63 1.19
H -1.24652 2.69449 -1.01169 0.67 0.43 -0.33
H -2.16337 1.78924 -2.15754 -0.58 -0.48 0.19
H -0.41133 1.43129 -2.21144 -1.60 1.05 1.62
H 3.04322 0.76513 1.46846 0.44 1.01 0.30
H 3.22350 1.75842 -0.18159 0.11 -1.95 1.67
H 4.44178 0.39934 0.31092 -1.68 0.96 0.38
H 2.69908 -0.30770 -1.26096 0.09 -0.36 0.25
H 2.43328 -1.76737 1.32920 0.37 -0.25 -1.71
H 2.46337 -2.34615 -0.31299 -0.07 -0.50 0.15
H 3.88833 -1.66696 0.48180 -1.57 -0.71 -0.53

3.
29
'''
I haven’t admitted it to many people but I have been eating vegetarian for about a month. It has been great. Of course the few people who do know, of course ask, “what about protein?”. “I have to have protein”, they all say. Well I am proud to report. I eat too much protein. I have been checking in with the U.S.D.A “my pyramid” website. Every day for the last two weeks I am way over. So there.
Thursday, September 18, 2008
I Can See Cleary Now
Before the peace, I was walking around with this “wanting” feeling inside. But, I couldn’t figure out what I was wanting. Did I need to buy something? I knew this wasn’t the answer, but none the less I pondered long and hard about what I could buy. Nothing ever came to mind. Maybe I just need to find another book or spiritual podcast. I had spent almost a year I would say listening and reading the inspirational guru Wayne Dyer. Did I need more? Maybe I needed to read a “New Earth” again, spend some time with some mindfulness exercises.
Then it occurred to me. I need to live it. I need live mindfulness not just read it. I need to live peace not just listen about it. So at least I have a plan.
Part of it is to get into a daily yoga practice. It always makes me feel peaceful and content. So I need to plan to get up earlier in the morning. Waking up early has always been one of my challenges.
Another part of the plan came about because of some health issues. The issues forced me to watch what I eat. You know more veggies less sugar. Now I feel great. I have an apple everyday and even the recommended number of vegetable servings. I have been mindful of my eating habits. I enjoy my food and concentrate on the nutrition of each. It is working out beautifully. And in taking care of myself I have lost some of that wanting.
Below is one of my favorite poems.
"Wild Geese" by Mary Oliver
You do not have to be good.
You do not have to walk on your knees
for a hundred miles through the desert repenting.
Data records that have nothing to do with the piece >
<<<
Record 1
Here is a structure of composition C28H25N6O4S5W from the OMol25 dataset. Energies are from the ωB97M-V functional and the def2-TZVPD basis.

The geometry in ORCA input format:
```
! RIJCOSX wB97M-V def2-TZVPD def2/J DEFGRID3
* xyz 3 1
W 0.93636 -0.21529 0.80720
C -2.23325 2.41170 -0.88481
C -0.89559 1.97235 -0.38311
N -0.72501 0.73414 0.03262
N -1.84685 -0.06420 0.11239
C -1.97680 -0.76280 1.18880
S -0.76312 -0.68800 2.50030
S -3.29642 -1.87640 1.22354
C -3.62338 -2.07783 3.02736
C -4.33200 -0.87270 3.57295
C -3.66704 0.01379 4.41408
C -4.32446 1.12772 4.91560
C -5.64730 1.36625 4.57203
C -6.31712 0.48186 3.73541
C -5.66323 -0.63133 3.23754
C 0.16754 2.95649 -0.27328
C 0.02227 4.24884 -0.79927
C 0.96992 5.22256 -0.57538
C 2.09475 4.94841 0.20180
C 2.27079 3.69117 0.74264
C 1.32545 2.70622 0.49844
O 1.45197 1.46525 0.99161
H -2.95394 1.60514 -0.84272
H -2.13919 2.74903 -1.91881
H -2.60030 3.24997 -0.29250
H -2.67579 -2.26810 3.52592
H -4.24143 -2.97305 3.07401
H -2.64017 -0.18472 4.70059
H -3.81118 1.80254 5.58794
H -6.15807 2.23651 4.96141
H -7.35354 0.65944 3.48135
H -6.18936 -1.32431 2.59022
H -0.84859 4.48351 -1.39436
H 0.83334 6.21012 -0.99369
H 2.82942 5.71967 0.38713
H 3.12716 3.45639 1.36230
O -0.26608 -8.29794 -3.15044
S -0.71854 -8.54815 -1.84382
O -0.30182 -7.06902 -0.88054
O 0.54735 -9.31325 -0.97880
C 1.40210 -8.49692 -0.41353
N 2.54335 -8.86900 0.06713
C 3.30183 -7.92446 0.61327
C 2.91780 -6.59093 0.65710
C 1.68937 -6.19233 0.14102
N 0.94824 -7.20548 -0.37430
C 1.22883 -4.79173 0.14796
C 0.16718 -4.31085 -0.63121
C -0.18791 -2.97776 -0.59031
N 0.44297 -2.10217 0.18815
C 1.47216 -2.54891 0.94800
C 1.88183 -3.85359 0.96991
H 4.24959 -8.25980 1.01668
H 3.59171 -5.86531 1.07985
H -0.38670 -4.96724 -1.27883
H -1.01372 -2.58518 -1.17028
H 1.87337 -1.83129 1.72680
H 2.66018 -4.14484 1.65781
S 2.42335 -0.28001 -1.32987
C 3.95908 -0.05347 -0.65987
N 5.04163 0.25741 -1.32974
C 6.31301 0.26546 -0.60476
C 5.97172 0.41841 0.87664
S 4.26090 -0.23104 1.04235
H 5.02083 0.36522 -2.33621
H 6.93246 1.09153 -0.94896
H 6.84828 -0.66530 -0.80105
H 5.96110 1.45485 1.20416
H 6.62849 -0.15697 1.52195
*
```

The LUMO energy is -10.0758 eV. For the calculated total energy, the calculation gives -3768.5097 hartree. The relative energy (zero: lowest compared OMol25 entry of this formula, charge and spin) comes out at 57.6 kcal/mol. For the HOMO energy, the calculation gives -0.531 hartree. The calculation puts the HOMO-LUMO gap at 0.16058 Ha.

***

Record 2
Here is a structure of composition C28H26BN5O6PSTa from the OMol25 dataset. Energies are from the ωB97M-V functional and the def2-TZVPD basis.

The geometry in ORCA input format:
```
! RIJCOSX wB97M-V def2-TZVPD def2/J DEFGRID3
* xyz 0 1
Ta -0.40817 1.87125 -0.04368
O -2.45776 -0.85934 2.13968
C -1.36282 -0.47468 1.85541
O -1.20814 0.37791 0.79734
C -0.10712 -0.81613 2.60492
P 1.39459 -1.11391 1.56360
C 2.64052 -1.24054 2.89181
C 2.75824 -2.35264 3.72509
C 3.70430 -2.36838 4.73687
>>>
You only have to let the soft animal of your body
love what it loves.
Tell me about despair, yours, and I will tell you mine.
Meanwhile the world goes on.
Meanwhile the sun and the clear pebbles of the rain
are moving across the landscapes,
over the prairies and the deep trees,
== Unrelated to this piece: records of molecules ==
-- begin --
88
Properties=species:S:1:pos:R:3 method="wB97M-V/def2-TZVPD" homo_lumo_gap_ev="6.54 / 5.37" total_charge=+2 fmax_ev_per_a=0.8 e_homo_ev="-12.21 / -12.65" e_tot_ha=-2649.06508 multiplicity=5
Ir -1.424 0.383 0.707
Te -3.154 -0.530 2.545
S -1.203 -1.919 -1.202
O -0.955 -1.859 0.315
O 0.340 0.150 1.950
O -1.167 -1.261 -4.190
N 2.184 -1.735 2.577
N 2.234 -3.561 -0.765
N -1.262 2.491 1.187
N -1.627 1.182 -1.656
C 1.243 -1.183 -4.882
C 0.182 -1.112 -2.092
C -0.556 -0.416 -3.204
C -0.353 3.052 1.882
C -6.932 1.543 2.027
C -0.945 -3.584 -1.767
C 1.674 1.045 -2.032
C -0.033 -0.470 -4.587
C -6.993 -0.352 0.540
C 3.748 3.931 4.483
C 2.118 -0.980 -0.450
C 1.494 -1.683 -2.467
C 1.693 -1.181 -6.316
C 2.382 -2.237 -1.313
C -5.059 0.063 1.889
C 0.818 2.444 2.495
C 2.291 0.640 3.149
C -2.420 2.445 -1.625
C 1.346 -0.329 -1.599
C 1.378 -3.865 0.376
C -5.712 -0.715 0.939
C 2.765 -0.696 3.082
C -7.601 0.774 1.083
C 2.858 2.923 3.794
C 1.689 3.316 3.142
C -1.420 0.735 -2.826
C 2.053 -4.099 1.736
C -2.419 3.316 0.770
C 1.897 -1.769 -3.888
C 3.138 1.578 3.769
C 2.917 -3.000 2.328
C 3.646 0.973 -0.575
C 2.763 1.639 -1.555
C 1.093 1.050 2.502
C -5.653 1.191 2.439
C -3.212 2.651 -0.339
C 3.345 -0.213 -0.058
H -2.070 4.296 0.435
H 2.608 -1.757 -6.442
H 1.056 1.554 -2.761
H -7.514 -0.953 -0.196
H -1.711 3.268 -1.746
H 4.020 -0.678 0.660
H 3.985 4.766 3.821
H -1.289 -3.601 -2.804
H 3.755 -2.779 1.667
H 3.327 -3.350 3.274
H 3.771 -0.878 3.458
H 4.686 3.477 4.801
H 0.633 -3.079 0.472
H 1.264 -4.358 2.449
H 4.556 1.480 -0.277
H 3.391 -2.161 -1.712
H -5.241 -1.595 0.512
H -7.409 2.418 2.453
H -3.091 2.472 -2.483
H -1.577 -4.223 -1.147
H 1.441 4.376 3.137
H 1.231 -1.612 2.249
H 3.062 -4.129 -0.829
H 2.819 -2.304 -4.098
H -3.068 3.479 1.633
H 3.261 4.343 5.370
H -4.083 3.272 -0.554
H -3.618 1.688 0.006
H 3.027 2.633 -1.901
H -8.603 1.048 0.775
H -0.293 0.341 -5.262
H 0.108 -3.863 -1.700
H 4.049 1.217 4.241
H -0.453 4.125 2.066
H 2.699 -4.978 1.669
H 1.882 -0.161 -6.664
H -5.142 1.789 3.187
H -1.895 1.223 -3.683
H 0.925 -1.604 -6.970
H 0.817 -4.781 0.169
H 1.496 -1.188 0.409


8
Properties=species:S:1:pos:R:3 method="wB97M-V/def2-TZVPD" homo_lumo_gap_ev=8.54 smiles="N=C=S.C=S" de_lowest_kcal_mol=30.0 fmax_ev_per_a=4.7 e_homo_ev=-8.95 e_tot_ha=-929.06957
S -0.816 0.361 -0.218
S -1.498 -1.333 -3.739
N 1.136 -1.036 -3.274
C -0.024 -1.297 -3.289
C -1.693 1.200 -1.220
H -1.406 2.246 -1.427
H -2.629 0.899 -1.555
H 1.815 -0.899 -2.423


55
Properties=species:S:1:pos:R:3 method="wB97M-V/def2-TZVPD" homo_lumo_gap_ev="3.37 / 5.96" de_lowest_kcal_mol=0.0 fmax_ev_per_a=6.7 e_homo_ev="-3.85 / -6.44" e_tot_ha=-2934.08887 multiplicity=3
Ni 0.084 -0.229 -1.838
P 0.351 -2.368 1.792
P 0.212 2.888 2.084
O 1.288 1.186 3.789
C 1.189 4.234 2.783
C 1.428 -1.176 -3.877
C 0.991 0.303 -4.236
C -1.945 0.177 -3.555
C 0.187 -2.614 3.583
C 0.664 2.067 0.410
C -0.652 -1.790 -2.512
C -1.523 -1.328 -3.644
C -1.481 3.416 1.728
C 0.772 -1.728 -2.646
C -1.142 1.317 4.087
C -0.967 0.978 -2.702
C 1.912 -3.191 1.273
-- stop --
the mountains and the rivers.
Meanwhile the wild geese, high in the clean blue air,
are heading home again.
Whoever you are, no matter how lonely,
the world offers itself to your imagination,
calls to you like the wild geese, harsh and exciting
over and over announcing your place
in the family of things.
Thursday, September 11, 2008
"I love you Mommy"
Tuesday, September 9, 2008
Movin' on Up! Finally Got a Piece of the Pie
It is small by most peoples’ standards, but I have always been one for cubbie hole living. I lived in one room with my roommate Lindsey while in college, then moved into a small apartment with my ex-husband (600 sq). And now once again I live in one room with a roommate, my son. Let me tell you 3 yr boys don’t make the best roomies. No respect for privacy. ;-)
It will be glorious to have a kitchen, bathroom and my own room. The place is 2 beds and one bath and the total sq. feet equal 1,220. Sounds like a mansion to me. It even has a small back yard. That was really my only requirement. It is new construction so right now the move in date is Feb 28.
Susan and Aidan
While I am talking about roommates. I wanted to post a picture of my current roommate, Susan. She has been so wonderful. As I was breaking up with my ex-husband and wasn’t sure where I was going to live she graciously took Aidan and I in. Rent in Williamsburg in not cheap. During that time I didn’t have much money to live on and I don’t know what I would have done without her.
Also I miss my old roommate Lindsey. Love you Girl.
Monday, September 8, 2008
Monday Thoughts
What is stillness? - The inner space or awareness in which the words on this page are being perceived and become thoughts.
Without that awareness there would be no perception, no thoughts, no world.
You are that awareness disguised as a person.
-Eckhart Tolle
Thursday, September 4, 2008
Back to the Grind
It wasn’t a relaxing Labor Day weekend, but Aidan and I had a great time. This was my first time to Myrtle Beach. I didn’t see anything out of the ordinary for S.C., of course a couple of palm trees here and there. We went to the beach two days and Aidan actually went into the ocean! The surf was pretty rough because of Huricane Gustof so after a couple of times of getting salt water in his eyes he stayed on the beach.
We also drove go-carts and went to the aquarium and Aligator Adventure.
The most relaxing part of the trip was the train ride home. We got on in Florence, SC and rode until Richmond, VA. I love taking the train, especially with a toddler. I don’t know if I will ever drive long distance again.
All Aboard!
This DVD player is a godsend. I actually got to set back, relax and listen to my ipod. I even closed my eyes! Yeah I look tired and in desperate need of a hair cut. Which thankfully I am getting today.
I am happy to get back into the groove of things. Work, daycare, work, some fun, back to work and dropping and picking up Aidan from daycare.
Wednesday, August 27, 2008
Labor Day Plans
I have a chronic problem with checking out too many books from the library and not having enough time to read them. Sometimes I just lose interest in the middle of a book and start another. I finished the last book, “The Taoism of Pooh”. Now I am between Wayne Dyer’s “There is a Spiritual Solution for Everything and “A New Earth” by Eckhart Tolle. You would think since I haven’t finished these books I wouldn’t have started another, but I did, “The Taoism of Willie Nelson.” Yeah I know what you are thinking, a lot of spiritual books. We will have to that discuss that later.
So, we are driving down with Aidan’s great aunt and uncle to Myrtle Beach on Friday and then taking a train back to Richmond on Tuesday. Of course Aidan is more excited about the train than the beach. Pretty normal for his age I guess. I can’t believe he will be three soon. Only 2 months until October 18.
But let me go back a little. Here is a picture of Aidan when he was a cuddly baby. He still cuddles I just have to bribe him with chocolate milk now.
Monday, August 25, 2008
Hello Everyone
Well, I have been inspired. Recently one of my college friends, Jenny T. started a blog. And more importantly had a baby boy. He is so adorable by the way, Jenny. At the news of hearing I was so happy and actually got a little teary eyed remembering the new joys of motherhood.
Then it made me a little sad. I live far away from all my family and friends and frankly haven’t kept up with everyone. I don’t even have Jenny’s address!! We talk ever so often, but time passes, jobs change and families grow. Friends which have supported and made me the person I am today slowly fade into the background of everyday life. Surprisingly, I still feel close to all those friends to which I go 6 months or more between conversations. I feel guilt for not keeping into touch. So I am going to try this blog thing. I am not an eloquent writer, but I hope to give everyone a peak into my life now.
Love to all of you,